_Wanted_
Copy all of the lines underneath with every line break kept.
_Source_
~~~
MgFeI2N: relaxed, PBE-GGA.

Results
Crystal system ... tetragonal
Energy above the lowest structure with this stoichiometry ... 726 meV/atom
Energy relative to the elements, uncorrected ... 0.90 eV per atom
SG ... P4/mmm (123)

a = 5.7136 Å, b = 5.7136 Å, c = 3.9172 Å
α = 90.00°, β = 90.00°, γ = 90.00°
Site moments in Bohr magnetons follow the coordinates.
Positions (direct):
N (0.0000, 0.0000, 0.5000)  -0.01
I (0.5000, 0.0000, 0.0000)  0.02
I (0.0000, 0.5000, 0.0000)  0.02
Mg (0.0000, 0.0000, 0.0000)  0.00
Fe (0.5000, 0.5000, 0.5000)  3.27

----------

## CePr4Se7 (PBE)

Data for an optimized crystal structure of CePr4Se7.

Properties
V ... 706.2 Å³ per cell
Magnetization ... 0.092 μB per atom
Formation energy (no corrections) ... -1.858 eV/atom

Unit cell a=14.0286 b=4.1394 c=12.5834 alpha=90.00 beta=104.88 gamma=90.00
With the nearest neighbours (Å) after each atom.
Space group Cm (No. 8)
Asymmetric unit:
1 Ce 0.0000 0.0000 0.0000 (multiplicity 2)  6 Se 2.91-3.06
2 Pr 0.1133 0.0000 0.4216 (multiplicity 2)  6 Se 2.92-3.00
3 Pr 0.2267 0.0000 0.8444 (multiplicity 2)  6 Se 2.93-3.08
4 Pr 0.3129 0.5000 0.2330 (multiplicity 2)  7 Se 2.99-3.20
5 Pr 0.4144 0.0000 0.6129 (multiplicity 2)  7 Se 2.99-3.21
6 Se 0.0722 0.0000 0.6378 (multiplicity 2)  4 Pr 2.92-2.99
7 Se 0.1118 0.5000 0.9220 (multiplicity 2)  2 Ce 2.91, 2 Pr 2.94
8 Se 0.1544 0.0000 0.2048 (multiplicity 2)  1 Ce 2.91, 3 Pr 2.93-2.99
9 Se 0.2738 0.5000 0.4723 (multiplicity 2)  5 Pr 3.00-3.20
10 Se 0.3540 0.5000 0.7730 (multiplicity 2)  4 Pr 3.02-3.15, 1 Ce 3.06
11 Se 0.3752 0.0000 0.0720 (multiplicity 2)  2 Ce 3.00, 3 Pr 3.08-3.17
12 Se 0.4532 0.0000 0.3721 (multiplicity 2)  5 Pr 3.00-3.21

----------

# Cr3FeO

Cr3FeO after structural relaxation (PBE with a Hubbard U, Alexandria).

Properties
Final energy: -6.29 eV per atom
N(E_F): 7.44 states/eV per cell
E above lowest polymorph: 0 meV/atom

```
Cr3FeO
1.0
4.2257 0.0000 0.0000
0.0000 4.2257 0.0000
0.0000 0.0000 4.2257
Cr Fe O
3 1 1
direct
0.0000 0.0000 0.5000
0.0000 0.5000 0.0000
0.5000 0.0000 0.0000
0.5000 0.5000 0.5000
0.0000 0.0000 0.0000
```

----------

(1)
# LiPu6Rh5 | the Alexandria database | PBE | relaxed
# - magnetization (μB/f.u.) = 31.06
# - mass density (Mg/m³) = 13.5
# - ΔE_f (meV per atom) = -336.0
data_LiPu6Rh5
_chemical_formula_sum 'Li2 Pu12 Rh10'
_cell_length_a 4.8142
_cell_length_b 6.9864
_cell_length_c 14.5680
_cell_angle_alpha 90.00
_cell_angle_beta 90.00
_cell_angle_gamma 90.00
_symmetry_space_group_name_H-M 'I m m m'
_symmetry_Int_Tables_number 71
_symmetry_space_group_name_Hall '-I 2 2'
loop_
_atom_site_label
_atom_site_fract_x
_atom_site_fract_y
_atom_site_fract_z
_atom_site_occupancy
Li1 0.0000 0.0000 0.0000 1
Pu1 0.0000 0.2338 0.5000 1
Pu2 0.0000 0.2596 0.1751 1
Rh1 0.0000 0.0000 0.3352 1
Rh2 0.0000 0.5000 0.0000 1
Rh3 0.0000 0.5000 0.3532 1


(2)
# BaCuAs | the Alexandria database | PBE | relaxed
# - magnetization (μB/f.u.) = 0.00
# - mass density (Mg/m³) = 5.6
# - ΔE_f (meV per atom) = -474.9
data_BaCuAs
_chemical_formula_sum 'Ba2 Cu2 As2'
_cell_length_a 4.6619
_cell_length_b 7.5961
_cell_length_c 4.5867
_cell_angle_alpha 90.00
_cell_angle_beta 90.00
_cell_angle_gamma 90.00
_symmetry_space_group_name_H-M 'P m c 21'
_symmetry_Int_Tables_number 26
loop_
_symmetry_equiv_pos_as_xyz
'x,y,z'
'-x,-y,z+1/2'
'-x,y,z'
'x,-y,z+1/2'
loop_
_atom_site_label
_atom_site_fract_x
_atom_site_fract_y
_atom_site_fract_z
_atom_site_occupancy
Ba1 0.0000 0.2425 0.0000 1
Cu1 0.5000 0.4196 0.5008 1
As1 0.5000 0.0897 0.4998 1
~~~
_Written answer_
MgFeI2N: relaxed, PBE-GGA.

Results
Crystal system ... tetragonal
Energy above the lowest structure with this stoichiometry ... 726 meV/atom
Energy relative to the elements, uncorrected ... 0.90 eV per atom
SG ... P4/mmm (123)

a = 5.7136 Å, b = 5.7136 Å, c = 3.9172 Å
α = 90.00°, β = 90.00°, γ = 90.00°
Site moments in Bohr magnetons follow the coordinates.
Positions (direct):
N (0.0000, 0.0000, 0.5000)  -0.01
I (0.5000, 0.0000, 0.0000)  0.02
I (0.0000, 0.5000, 0.0000)  0.02
Mg (0.0000, 0.0000, 0.0000)  0.00
Fe (0.5000, 0.5000, 0.5000)  3.27

----------

## CePr4Se7 (PBE)

Data for an optimized crystal structure of CePr4Se7.

Properties
V ... 706.2 Å³ per cell
Magnetization ... 0.092 μB per atom
Formation energy (no corrections) ... -1.858 eV/atom

Unit cell a=14.0286 b=4.1394 c=12.5834 alpha=90.00 beta=104.88 gamma=90.00
With the nearest neighbours (Å) after each atom.
Space group Cm (No. 8)
Asymmetric unit:
1 Ce 0.0000 0.0000 0.0000 (multiplicity 2)  6 Se 2.91-3.06
2 Pr 0.1133 0.0000 0.4216 (multiplicity 2)  6 Se 2.92-3.00
3 Pr 0.2267 0.0000 0.8444 (multiplicity 2)  6 Se 2.93-3.08
4 Pr 0.3129 0.5000 0.2330 (multiplicity 2)  7 Se 2.99-3.20
5 Pr 0.4144 0.0000 0.6129 (multiplicity 2)  7 Se 2.99-3.21
6 Se 0.0722 0.0000 0.6378 (multiplicity 2)  4 Pr 2.92-2.99
7 Se 0.1118 0.5000 0.9220 (multiplicity 2)  2 Ce 2.91, 2 Pr 2.94
8 Se 0.1544 0.0000 0.2048 (multiplicity 2)  1 Ce 2.91, 3 Pr 2.93-2.99
9 Se 0.2738 0.5000 0.4723 (multiplicity 2)  5 Pr 3.00-3.20
10 Se 0.3540 0.5000 0.7730 (multiplicity 2)  4 Pr 3.02-3.15, 1 Ce 3.06
11 Se 0.3752 0.0000 0.0720 (multiplicity 2)  2 Ce 3.00, 3 Pr 3.08-3.17
12 Se 0.4532 0.0000 0.3721 (multiplicity 2)  5 Pr 3.00-3.21

----------

# Cr3FeO

Cr3FeO after structural relaxation (PBE with a Hubbard U, Alexandria).

Properties
Final energy: -6.29 eV per atom
N(E_F): 7.44 states/eV per cell
E above lowest polymorph: 0 meV/atom

```
Cr3FeO
1.0
4.2257 0.0000 0.0000
0.0000 4.2257 0.0000
0.0000 0.0000 4.2257
Cr Fe O
3 1 1
direct
0.0000 0.0000 0.5000
0.0000 0.5000 0.0000
0.5000 0.0000 0.0000
0.5000 0.5000 0.5000
0.0000 0.0000 0.0000
```

----------

(1)
# LiPu6Rh5 | the Alexandria database | PBE | relaxed
# - magnetization (μB/f.u.) = 31.06
# - mass density (Mg/m³) = 13.5
# - ΔE_f (meV per atom) = -336.0
data_LiPu6Rh5
_chemical_formula_sum 'Li2 Pu12 Rh10'
_cell_length_a 4.8142
_cell_length_b 6.9864
_cell_length_c 14.5680
_cell_angle_alpha 90.00
_cell_angle_beta 90.00
_cell_angle_gamma 90.00
_symmetry_space_group_name_H-M 'I m m m'
_symmetry_Int_Tables_number 71
_symmetry_space_group_name_Hall '-I 2 2'
loop_
_atom_site_label
_atom_site_fract_x
_atom_site_fract_y
_atom_site_fract_z
_atom_site_occupancy
Li1 0.0000 0.0000 0.0000 1
Pu1 0.0000 0.2338 0.5000 1
Pu2 0.0000 0.2596 0.1751 1
Rh1 0.0000 0.0000 0.3352 1
Rh2 0.0000 0.5000 0.0000 1
Rh3 0.0000 0.5000 0.3532 1


(2)
# BaCuAs | the Alexandria database | PBE | relaxed
# - magnetization (μB/f.u.) = 0.00
# - mass density (Mg/m³) = 5.6
# - ΔE_f (meV per atom) = -474.9
data_BaCuAs
_chemical_formula_sum 'Ba2 Cu2 As2'
_cell_length_a 4.6619
_cell_length_b 7.5961
_cell_length_c 4.5867
_cell_angle_alpha 90.00
_cell_angle_beta 90.00
_cell_angle_gamma 90.00
_symmetry_space_group_name_H-M 'P m c 21'
_symmetry_Int_Tables_number 26
loop_
_symmetry_equiv_pos_as_xyz
'x,y,z'
'-x,-y,z+1/2'
'-x,y,z'
'x,-y,z+1/2'
loop_
_atom_site_label
_atom_site_fract_x
_atom_site_fract_y
_atom_site_fract_z
_atom_site_occupancy
Ba1 0.0000 0.2425 0.0000 1
Cu1 0.5000 0.4196 0.5008 1
As1 0.5000 0.0897 0.4998 1